Empire Of The Ring - Chapter 715

Chapter 715

They were paying attention to the fact that Kazakhstan could achieve so much in a short period of time because of the existence of the royal family.

A recent rumor had it that the Kazakh Navy introduced nuclear-powered submarines and a small aircraft carrier, and with such enormous power, it was active in the Mediterranean and the Indian Ocean.

Unrelated to this article: calculated crystals:
********
Record 1
Ac2ZnCu3Sn4: optimized geometry, PBE-GGA.

Computed properties:
**Total magnetization**: 0.000 μB per atom
**Energy of formation from the pure elements**: -0.45 eV/atom
**Symmetry**: P-4m2

Lattice parameters (Å, degrees): 4.6159 4.6159 10.9401 90.00 90.00 90.00
Last column: nearest neighbours and their distance in Å.
Atoms (fractional coordinates):
1 Ac 0.5000 0.0000 0.2579  8 Sn 3.48-3.65, 2 Zn 3.51, 6 Cu 3.51-3.55
2 Ac 0.0000 0.5000 0.7421  8 Sn 3.48-3.65, 2 Zn 3.51, 6 Cu 3.51-3.55
3 Sn 0.0000 0.0000 0.0000  4 Cu 2.72
4 Sn 0.5000 0.0000 0.6312  3 Cu 2.60-2.72, 2 Zn 2.72
5 Sn 0.5000 0.5000 0.0000  4 Cu 2.72
6 Sn 0.0000 0.5000 0.3688  3 Cu 2.60-2.72, 2 Zn 2.72
7 Zn 0.5000 0.5000 0.5000  4 Sn 2.72
8 Cu 0.0000 0.0000 0.5000  4 Sn 2.72
9 Cu 0.0000 0.5000 0.1313  5 Sn 2.60-2.72
10 Cu 0.5000 0.0000 0.8687  5 Sn 2.60-2.72

---

Record 2
InAg12Au3: optimized geometry, PBE-GGA.

Computed properties:
**Total magnetization**: 0.000 μB per atom
**Energy of formation from the pure elements**: -0.03 eV/atom
**Symmetry**: P4/mmm

Lattice parameters (Å, degrees): 4.2172 4.2172 16.3689 90.00 90.00 90.00
Last column: nearest neighbours and their distance in Å.
Atoms (fractional coordinates):
1 Ag 0.5000 0.5000 0.7473  8 Ag 2.92-2.93, 4 Au 2.98
2 Ag 0.5000 0.5000 0.0000  8 Ag 2.98, 4 In 2.98
3 Ag 0.0000 0.5000 0.1286  8 Ag 2.93-2.98, 2 Au 2.93, 2 In 2.98
4 Ag 0.5000 0.0000 0.1286  8 Ag 2.93-2.98, 2 Au 2.93, 2 In 2.98
5 Ag 0.0000 0.5000 0.3764  4 Au 2.92, 8 Ag 2.92-2.98
6 Ag 0.0000 0.5000 0.6236  4 Au 2.92, 8 Ag 2.92-2.98
7 Ag 0.5000 0.0000 0.3764  4 Au 2.92, 8 Ag 2.92-2.98
8 Ag 0.5000 0.0000 0.8714  8 Ag 2.93-2.98, 2 Au 2.93, 2 In 2.98
9 Ag 0.0000 0.5000 0.8714  8 Ag 2.93-2.98, 2 Au 2.93, 2 In 2.98
10 Ag 0.5000 0.5000 0.5000  8 Ag 2.92, 4 Au 2.98
11 Ag 0.5000 0.5000 0.2527  8 Ag 2.92-2.93, 4 Au 2.98
12 Ag 0.5000 0.0000 0.6236  4 Au 2.92, 8 Ag 2.92-2.98
13 Au 0.0000 0.0000 0.2531  12 Ag 2.92-2.98
14 Au 0.0000 0.0000 0.5000  12 Ag 2.92-2.98
15 Au 0.0000 0.0000 0.7469  12 Ag 2.92-2.98
16 In 0.0000 0.0000 0.0000  12 Ag 2.98

---

Record 3
Co2CuOs: optimized geometry, PBE-GGA.

Computed properties:
**Total magnetization**: 0.928 μB per atom
**Energy of formation from the pure elements**: 0.35 eV/atom
**Symmetry**: Immm
**Energy relative to the lowest polymorph listed for this composition**: 0.78 eV per formula unit

Lattice parameters (Å, degrees): 4.9701 4.9701 4.9701 148.78 128.72 61.27
Last column: nearest neighbours and their distance in Å.
Atoms (fractional coordinates):
1 Co 0.9976 0.9976 0.0000  2 Cu 2.50, 6 Co 2.53-2.67, 2 Os 2.54
2 Co 0.5024 0.5024 0.0000  2 Cu 2.50, 6 Co 2.53-2.67, 2 Os 2.54
3 Os 0.2500 0.7500 0.5000  4 Cu 2.53, 4 Co 2.54, 2 Os 2.67
4 Cu 0.7500 0.2500 0.5000  4 Co 2.50, 4 Os 2.53, 2 Cu 2.67

---

Record 4
Ta2TlPb: optimized geometry, PBE-GGA.

Computed properties:
**Total magnetization**: 0.000 μB per atom
**Energy of formation from the pure elements**: 0.63 eV/atom
**Symmetry**: Immm
********
The article goes on:

In addition, the royal family had alone pioneered the Arctic route and opened the way to Far East Asia in the shortest time.

While Kazakhstan was developing rapidly, Azerbaijan, the richest country in the Caspian Sea, was facing a financial crisis.

Had it not been for the help of the Kazakh royal family, the government would have come to face the humiliation of receiving IMF bailout funds.

The people of Azerbaijan were envious of Kazakhstan, which accepted such a capable royal family.

While the queen was staying in Baku, all sorts of rumors swirled around the nation.

Words were circulating that if Azerbaijan did not accept the Kazakh royal family, the future of the nation would not be guaranteed.

Some Azerbaijani were shocked by the fact that the national incomes of Kyrgyzstan and Tajikistan, which used to be poorer than Africa, became higher than the national income of Azerbaijan after becoming federal states of the Kingdom of Kazakhstan.

At this rate, some even said that Azerbaijan may soon fall short of Armenia.

Public opinion was increasing that Azerbaijan should also be incorporated into the federal kingdom of Kazakhstan.


"Doctor, did you get the results of the sample survey?"

When Dr. Park Young-sun came in from the door of his office, Youngho started asking questions even before he sat down.

"Your Highness must have been very curious. I am late to report because the satellite phone suddenly went dead."

A team led by Park Young-sun went to do a sample survey of a new offsh.o.r.e oil field off Baku and returned.

Youngho had been looking forward to hearing good news from now and then, so he was eager to ask about the results of the exploration.

"There's no way the satellite phone would go down. You didn't mean to rend my heart?"

"No way. Their radio wave disturbance was especially severe in that area."

"Please don't hesitate and tell me the results first. I'm very curious."

The reason for his eagerness was because it was an area that was attempted to be drilled during World War I, with the techniques at the time.

For whatever reason thereafter, it had been forgotten from public interest.

The Swedish Information Agency tipped him off, so only Youngho and a few people knew about it.

The Caspian Sea would be another area of world attention if there were large amounts of crude oil or gas deposits.

"We found a small layer of gas in several places even though it was just a basic survey of drilling about only 70 meters down. Whether or not there are reserves, we have confirmed that it's economical enough in terms of development costs."

If a layer of gas was found, it meant that there was oil or gas underneath it.

It was especially impressive to detect gas only at a depth of 70 meters.

Most of the oil and gas layers were buried hundreds of meters deep in the ground.

"How does the gas distribution look?"

"You know, I didn't get to report back to you early because I had to survey more areas. Gas was found all over the region, so I needed to make sure."

Park Young-sun's face was brightened, which was telling everything.

"You mean they were all found in a wide area? That would be a lot."

"It is difficult to predict recklessly because it may be spread across a wide area between strata. I can say that I'm hopeful."

It was good news.

This meant that the larger the gap between strata, the more crude oil was likely to be.

Youngho jumped up from the sofa and gazed at the map occupying one side of the wall.

It was a detailed map of the oil field development station that was put together after an agreement with President Aliyev.

"Can you roughly mark the area where you found the gas on this map?"

_Between two parts of the entry: materials data_
+++
Entry 1:
Density functional theory data (PBE-GGA) for a relaxed Mo4W3 crystal.

Its formation enthalpy at 0 K is 0.6642 eV/atom.

abc: 2.6339 2.6339 17.1753
angles: 85.60 85.60 90.00
Element x y z (fractional)
Mo1 0.1372 0.1373 0.7255
Mo2 0.8628 0.8627 0.2745
Mo3 0.4323 0.4323 0.1354
Mo4 0.5677 0.5677 0.8646
W1 0.0000 0.0000 0.0000
W2 0.2152 0.2152 0.5696
W3 0.7848 0.7848 0.4304


Entry 2:
Density functional theory data (PBE-GGA) for a relaxed Mo7W6 crystal.

Its formation enthalpy at 0 K is 0.3082 eV/atom.

abc: 9.7249 9.7249 9.7249
angles: 30.78 30.78 30.78
Element x y z (fractional)
Mo1 0.9137 0.4093 0.4093
Mo2 0.4093 0.4093 0.9137
Mo3 0.4093 0.9137 0.4093
Mo4 0.0863 0.5907 0.5907
Mo5 0.5907 0.0863 0.5907
Mo6 0.5907 0.5907 0.0863
Mo7 0.5000 0.5000 0.5000
W1 0.9541 0.9541 0.9541
W2 0.0459 0.0459 0.0459
W3 0.8510 0.8510 0.8510
W4 0.1490 0.1490 0.1490
W5 0.6680 0.6680 0.6680
W6 0.3320 0.3320 0.3320


Entry 3:
Density functional theory data (PBE-GGA) for a relaxed MoW crystal.

Its formation enthalpy at 0 K is 0.3355 eV/atom.

abc: 2.6558 2.6558 9.2804
angles: 90.00 90.00 90.00
Element x y z (fractional)
Mo1 0.2500 0.2500 0.1256
Mo2 0.7500 0.7500 0.8744
W1 0.2500 0.2500 0.6246
W2 0.7500 0.7500 0.3754


Entry 4:
Density functional theory data (PBE-GGA) for a relaxed MoW crystal.

Its formation enthalpy at 0 K is 0.7456 eV/atom.

abc: 2.6166 7.4188 10.5096
angles: 90.00 90.00 90.00
Element x y z (fractional)
Mo1 0.0000 0.9908 0.6301
Mo2 0.5000 0.0092 0.8699
Mo3 0.5000 0.0092 0.1301
Mo4 0.0000 0.9908 0.3699
Mo5 0.0000 0.7164 0.0000
Mo6 0.5000 0.2836 0.5000
W1 0.0000 0.6682 0.7529
W2 0.5000 0.3318 0.7471
W3 0.5000 0.3318 0.2529
W4 0.0000 0.6682 0.2471
W5 0.0000 0.6374 0.5000
W6 0.5000 0.3626 0.0000


Entry 5:
Density functional theory data (PBE-GGA) for a relaxed MoW crystal.

Its formation enthalpy at 0 K is -0.0060 eV/atom.

abc: 2.7490 2.7490 4.4906
angles: 90.00 90.00 109.35
Element x y z (fractional)
Mo1 0.0000 0.0000 0.0000
W1 0.5000 0.5000 0.5000


Entry 6:
Density functional theory data (PBE-GGA) for a relaxed MoW2 crystal.

Its formation enthalpy at 0 K is 0.3544 eV/atom.

abc: 3.7703 3.7703 14.1089
angles: 97.57 97.57 90.04
Element x y z (fractional)
Mo1 0.0833 0.0834 0.1669
Mo2 0.9166 0.9167 0.8331
Mo3 0.3334 0.8333 0.6669
Mo4 0.1667 0.6666 0.3331
W1 0.2500 0.2500 0.5005
W2 0.7499 0.7499 0.4995
W3 0.5001 0.0001 0.0005
W4 0.9999 0.4999 0.9995
W5 0.4168 0.4167 0.8337
W6 0.5833 0.5832 0.1663
W7 0.6667 0.1668 0.3337
W8 0.8332 0.3333 0.6663


Entry 7:
Density functional theory data (PBE-GGA) for a relaxed Mo4W5 crystal.

Its formation enthalpy at 0 K is -0.0145 eV/atom.

abc: 3.1792 6.9179 6.9179
angles: 93.03 103.28 76.72
Element x y z (fractional)
Mo1 0.3335 0.6665 0.3335
Mo2 0.6665 0.3335 0.6665
Mo3 0.0000 0.3335 0.3335
Mo4 0.0000 0.6665 0.6665
W1 0.0000 0.0000 0.0000
W2 0.3333 0.0000 0.6665
W3 0.6667 0.0000 0.3335
W4 0.6667 0.6665 0.0000
W5 0.3333 0.3335 0.0000


Entry 8:
Density functional theory data (PBE-GGA) for a relaxed MoW crystal.
+++

When Youngho finished speaking, Park Young-sun drew a rough sketch of the area he surveyed with a colored pencil.

The section marked seemed quite wide on the map.

"It's not accurate, but it's probably about this much."

"What is the actual area?"

"The area we roughly surveyed was only about 10 square kilometers, and I think it's going to be a wider range."

Youngho tilted his head as he could not measure its size in his head.

"Can you compare the size with something?"

"It's four times the size of Yeouido in Seoul."

The size would not be very large if it was for farmland, but if oil was buried, it was a different story.

Youngho calmed down his excitement and sat back down again.

Come to think of it, he had not even offered tea yet.

"Oh, where are my manners?! I was so excited that I didn't even serve a cup of tea to the person who has been working hard for the royal family."

"Hahaha... I remember when oil was found in the royal territory. You were very excited at that time, too."

It was quite a shock to find oil reserves in a country without a drop of oil.

"The global community is running out of oil, and it's a blessing that we can still find new reserves. That's more welcome than finding a gold vein."

"We still need a thorough investigation, but the scope might be expanded. I think we shouldn't have offered to split the revenue in half with Azerbaijan."

"If you give up greed, it comes back with the greater good. The proposal to split is actually working for us."

Park Young-sun was not yet fully aware of the situation in Baku.

"I don't know what you mean…"

Youngho explained to Park Young-sun how the people of Baku were looking at the Kazakh royal family these days.

"It has become a situation of snowing the wind and reaping the whirlwind. Even if the crude oil we find is shallow, it's going to bring in several times the profits we lent from our royal family."

"I think it's more important to win the hearts of the citizens of Azerbaijan than to gain that kind of benefit."

"Do you intend to accept Azerbaijan as a federal state?"

"We should consider it if the people of Azerbaijan want to."

For Park Young-sun and her daughter, Baku was like a second home.

He even remarried with the woman he met there, so it was of course, special.

"Even though it'll be a loose federal relations.h.i.+p, the people will have high expectations for the royal family. If we don't settle that well, it's not worth having a federal relations.h.i.+p."

Though Park Young-sun was not a politician, he did not sound empty because he was a man of knowledge and wisdom.

People would expect all the worries of the world to disappear if they accepted the Kazakh royal family, but Youngho did not have an answer to the question of how to resolve such expectations.

"If we want to rea.s.sure the establishment and the political community, we have to start with a loose federal system. We'll be disappointed if we expected the nation to change overnight. I'm willing to take that much."

If Azerbaijan demanded a federal system first, the royal family would only play a pivotal role.

Then, it would gradually change the Azerbaijani political system to a democratic one without bloodshed.

"Great expectations make a great disappointment. We have to get rid of it so that our royal family can settle in Azerbaijan."

"We can't do anything about the political community right now, but I think we can give the people enough economic satisfaction."

What Youngho expected depended on the results of the drilling.

If there were reserves enough to surprise the world, his proposal to split the revenue in half with the Azerbaijan government would be a divine move.

This was because the Kazakh royal family had asked to develop a specific place.

If he already knew about the huge oil reserves and still wanted to share the development benefits, the people of Azerbaijan would praise the royal family and approve of its loyalty to them.

"Your Highness, you must expect the oil we find will play its role for sure."

"So, can I look forward to it?"